Reproduce the lines further down up to the one that holds "-0.6620 -1.9177", that line included.

=====
Computed, not measured: a 4-piece molecular cluster, C26H71BBrN9O5P3 overall in a non-equilibrium geometry, with ωB97M-V/def2-TZVPD.

Positions of all 116 atoms, in Å:
C 1.4110 0.0727 3.9891
C 1.1921 1.1807 2.9373
C 0.2655 0.7806 1.7708
C -0.6428 1.9895 1.4071
B 1.0851 0.3493 0.4174
Br -0.2015 0.1236 -1.1991
C 2.0742 -0.9554 0.5596
C 1.4433 -2.3284 0.2672
C 0.3195 -2.5999 1.2772
C 0.1619 -4.0277 1.7064
O -0.1646 -4.2923 2.8471
O 0.3387 -5.0613 0.8047
H 2.3861 -0.3985 3.8676
H 1.4015 0.4794 5.0027
H 0.6263 -0.6809 3.9688
H 0.7116 2.0044 3.4703
H 2.1564 1.5608 2.5962
H -0.4259 0.0201 2.1505
H -0.9236 2.5710 2.2887
H -0.2091 2.6030 0.6217
H -1.5771 1.5808 1.0237
H 1.7889 1.3054 0.1374
H 2.6009 -0.9778 1.5176
H 2.8597 -0.8264 -0.1960
H 2.2336 -3.0816 0.4142
H 1.1268 -2.4246 -0.7669
H 0.5629 -2.0475 2.1773
H -0.6185 -2.1789 0.9149
H 1.2830 -5.1476 0.6382
O -2.7430 4.8005 -1.3265
P -2.4993 5.4555 -2.6640
N -2.7769 4.1243 -3.7265
C -1.8355 3.0195 -3.8402
C -4.1485 3.6521 -3.6822
N -0.8656 5.8964 -2.4396
C 0.2293 5.5445 -3.3162
C -0.3951 5.9907 -1.0605
N -2.6082 6.6283 -4.0103
C -3.5004 7.7519 -3.6846
C -2.7873 6.2608 -5.4045
H -2.1260 2.3776 -4.6768
H -1.7707 2.4077 -2.9337
H -0.8368 3.3689 -4.0934
H -4.8421 4.4854 -3.8597
H -4.4017 3.2037 -2.7138
H -4.3293 2.9150 -4.4670
H 0.6146 4.5423 -3.0959
H 1.0562 6.2503 -3.1905
H -0.0467 5.5898 -4.3703
H -0.1458 5.0078 -0.6433
H -1.1469 6.4443 -0.4206
H 0.4953 6.6225 -1.0101
H -4.5553 7.4512 -3.6887
H -3.3711 8.5742 -4.3912
H -3.2640 8.1391 -2.6883
H -3.7836 5.8597 -5.6278
H -2.0428 5.5396 -5.7285
H -2.6409 7.1577 -6.0160
O -1.3889 -2.2539 10.1014
P -0.8007 -2.7286 8.7905
N -0.1232 -4.2423 9.2944
C 1.0536 -4.3144 10.1348
C -1.1337 -5.1930 9.7181
N 0.3163 -1.4600 8.5346
C 1.7333 -1.6217 8.3084
C 0.0591 -0.2058 9.2304
N -0.6584 -3.1587 7.0724
C -1.9087 -2.8954 6.3350
C -0.0659 -4.3904 6.5744
H 1.3934 -5.3522 10.1957
H 0.8800 -3.9409 11.1543
H 1.8881 -3.7669 9.7006
H -1.8925 -5.3117 8.9351
H -1.6441 -4.8751 10.6366
H -0.6933 -6.1782 9.8852
H 2.2827 -1.7249 9.2541
H 2.1358 -0.7490 7.7871
H 1.9606 -2.4791 7.6747
H 0.3996 -0.2376 10.2747
H -1.0007 0.0314 9.2318
H 0.5720 0.6160 8.7256
H -2.6886 -3.6232 6.5859
H -1.7387 -2.9226 5.2583
H -2.2844 -1.8968 6.5821
H -0.6727 -5.2801 6.7798
H 0.9327 -4.5506 6.9721
H 0.0417 -4.2987 5.4898
O 1.9533 0.5128 -6.0430
P 1.9339 -0.9417 -6.4539
N 0.7563 -0.8716 -7.7267
C -0.6533 -0.6750 -7.4530
C 1.1931 -0.0668 -8.8517
N 1.4108 -1.6328 -4.9940
C 0.2632 -2.4965 -4.8366
C 1.6113 -0.8510 -3.7679
N 2.4950 -2.5538 -6.9917
C 3.9620 -2.6128 -7.0946
C 1.9066 -3.3069 -8.0858
H -1.2254 -0.8203 -8.3742
H -0.8796 0.3225 -7.0517
H -1.0333 -1.4229 -6.7600
H 2.1726 -0.4125 -9.2063
H 1.2855 0.9954 -8.5912
H 0.4998 -0.1628 -9.6903
H -0.6620 -1.9177 -4.7289
H 0.3714 -3.1088 -3.9376
H 0.1464 -3.1969 -5.6663
H 0.8356 -0.0983 -3.6444
H 2.5748 -0.3463 -3.7791
H 1.6035 -1.4942 -2.8898
H 4.3344 -2.0508 -7.9599
H 4.3088 -3.6447 -7.1753
H 4.4158 -2.1866 -6.1945
H 2.1043 -2.8729 -9.0742
H 0.8332 -3.4189 -7.9645
H 2.3295 -4.3167 -8.0719

Output
ΔE to the lowest compared entry with this formula, charge and spin: 110.1 kcal/mol
M: 773.55 g/mol
net charge: -1

Löwdin atomic charge list, values in e, 5 entries: C -0.11; C -0.24; C -0.40; C -0.14; B -0.88
=====

Computed, not measured: a 4-piece molecular cluster, C26H71BBrN9O5P3 overall in a non-equilibrium geometry, with ωB97M-V/def2-TZVPD.

Positions of all 116 atoms, in Å:
C 1.4110 0.0727 3.9891
C 1.1921 1.1807 2.9373
C 0.2655 0.7806 1.7708
C -0.6428 1.9895 1.4071
B 1.0851 0.3493 0.4174
Br -0.2015 0.1236 -1.1991
C 2.0742 -0.9554 0.5596
C 1.4433 -2.3284 0.2672
C 0.3195 -2.5999 1.2772
C 0.1619 -4.0277 1.7064
O -0.1646 -4.2923 2.8471
O 0.3387 -5.0613 0.8047
H 2.3861 -0.3985 3.8676
H 1.4015 0.4794 5.0027
H 0.6263 -0.6809 3.9688
H 0.7116 2.0044 3.4703
H 2.1564 1.5608 2.5962
H -0.4259 0.0201 2.1505
H -0.9236 2.5710 2.2887
H -0.2091 2.6030 0.6217
H -1.5771 1.5808 1.0237
H 1.7889 1.3054 0.1374
H 2.6009 -0.9778 1.5176
H 2.8597 -0.8264 -0.1960
H 2.2336 -3.0816 0.4142
H 1.1268 -2.4246 -0.7669
H 0.5629 -2.0475 2.1773
H -0.6185 -2.1789 0.9149
H 1.2830 -5.1476 0.6382
O -2.7430 4.8005 -1.3265
P -2.4993 5.4555 -2.6640
N -2.7769 4.1243 -3.7265
C -1.8355 3.0195 -3.8402
C -4.1485 3.6521 -3.6822
N -0.8656 5.8964 -2.4396
C 0.2293 5.5445 -3.3162
C -0.3951 5.9907 -1.0605
N -2.6082 6.6283 -4.0103
C -3.5004 7.7519 -3.6846
C -2.7873 6.2608 -5.4045
H -2.1260 2.3776 -4.6768
H -1.7707 2.4077 -2.9337
H -0.8368 3.3689 -4.0934
H -4.8421 4.4854 -3.8597
H -4.4017 3.2037 -2.7138
H -4.3293 2.9150 -4.4670
H 0.6146 4.5423 -3.0959
H 1.0562 6.2503 -3.1905
H -0.0467 5.5898 -4.3703
H -0.1458 5.0078 -0.6433
H -1.1469 6.4443 -0.4206
H 0.4953 6.6225 -1.0101
H -4.5553 7.4512 -3.6887
H -3.3711 8.5742 -4.3912
H -3.2640 8.1391 -2.6883
H -3.7836 5.8597 -5.6278
H -2.0428 5.5396 -5.7285
H -2.6409 7.1577 -6.0160
O -1.3889 -2.2539 10.1014
P -0.8007 -2.7286 8.7905
N -0.1232 -4.2423 9.2944
C 1.0536 -4.3144 10.1348
C -1.1337 -5.1930 9.7181
N 0.3163 -1.4600 8.5346
C 1.7333 -1.6217 8.3084
C 0.0591 -0.2058 9.2304
N -0.6584 -3.1587 7.0724
C -1.9087 -2.8954 6.3350
C -0.0659 -4.3904 6.5744
H 1.3934 -5.3522 10.1957
H 0.8800 -3.9409 11.1543
H 1.8881 -3.7669 9.7006
H -1.8925 -5.3117 8.9351
H -1.6441 -4.8751 10.6366
H -0.6933 -6.1782 9.8852
H 2.2827 -1.7249 9.2541
H 2.1358 -0.7490 7.7871
H 1.9606 -2.4791 7.6747
H 0.3996 -0.2376 10.2747
H -1.0007 0.0314 9.2318
H 0.5720 0.6160 8.7256
H -2.6886 -3.6232 6.5859
H -1.7387 -2.9226 5.2583
H -2.2844 -1.8968 6.5821
H -0.6727 -5.2801 6.7798
H 0.9327 -4.5506 6.9721
H 0.0417 -4.2987 5.4898
O 1.9533 0.5128 -6.0430
P 1.9339 -0.9417 -6.4539
N 0.7563 -0.8716 -7.7267
C -0.6533 -0.6750 -7.4530
C 1.1931 -0.0668 -8.8517
N 1.4108 -1.6328 -4.9940
C 0.2632 -2.4965 -4.8366
C 1.6113 -0.8510 -3.7679
N 2.4950 -2.5538 -6.9917
C 3.9620 -2.6128 -7.0946
C 1.9066 -3.3069 -8.0858
H -1.2254 -0.8203 -8.3742
H -0.8796 0.3225 -7.0517
H -1.0333 -1.4229 -6.7600
H 2.1726 -0.4125 -9.2063
H 1.2855 0.9954 -8.5912
H 0.4998 -0.1628 -9.6903
H -0.6620 -1.9177 -4.7289